Imperial News

International diplomats confer with Imperial experts ahead of UN climate summit

by Ms Alexandra Franklin-Cheung

Diplomats from over 14 nations gathered at Imperial College London last week to discuss priorities for the UN climate conference in Marrakech.

International diplomats and science representatives met climate and policy experts from across Imperial to discuss some of the headline issues up for debate at next week’s UN climate conference (COP22). The conference will pave the way for the implementation of the global climate deal signed last year in Paris, which comes into force today.

Sir David King, the UK’s Special Representative for Climate Change, urged participants to take strong action to reduce their countries’ greenhouse gas emissions beyond what they have already committed to under the Paris Agreement. “One point five degrees has to be our objective,” he said, referring to the target for limiting global temperature rise set in Paris.

The briefing was organised by Imperial’s International Relations Office and the Grantham Institute, in partnership with the London Diplomatic Science Club, which brings together science attachés from London’s embassies and high commissions.

Introducing the event, Imperial’s Associate Provost Maggie Dallman emphasised Imperial’s global outlook and its strengths in producing the interdisciplinary research needed to address issues such as climate change. “Through events such as these we seek to become a trusted interface for academia, government and industry; playing a role in informing policy-makers, as well as translating our research into viable solutions for societal benefit,” she said.

Aiming low

The Intergovernmental Panel on Climate Change (IPCC) will release a special report in 2018 analysing the latest science on the impacts of 1.5°C of global warming, and the emissions cuts needed to achieve this ambitious target. Professor Jim Skea, co-chair of the IPCC’s Working Group III, which focuses on mitigating climate change, reviewed recent progress on its upcoming reports and stressed the need for the IPCC to communicate more accessibly. “The IPCC’s reports are relied upon by decision makers worldwide, it has a duty to assess the available science clearly and succinctly,” he said.

With a global deal now in force, COP22 will focus on the finer details of the Paris Agreement, including monitoring and reporting on progress towards a range of mitigation, finance and adaptation commitments.

[Misplaced crystal structures]
<<<
[1]
Here is a relaxed KSrPrBiO6 crystal from Materials Project. Energies are from PBE.

Unit cell a=6.277 b=6.277 c=6.277 alpha=60.00 beta=60.00 gamma=60.00
Fractional coordinates of all 10 atoms:
1 K 0.000 0.000 0.000
2 Sr 0.500 0.500 0.500
3 Pr 0.750 0.750 0.750
4 Bi 0.250 0.250 0.250
5 O 0.012 0.012 0.488
6 O 0.012 0.488 0.012
7 O 0.012 0.488 0.488
8 O 0.488 0.012 0.012
9 O 0.488 0.012 0.488
10 O 0.488 0.488 0.012

Summary:
* symmetry: F-43m (216)
* relative energy among the computed polymorphs: 37.0 meV per atom
* ΔH_f (0 K): -22.6 eV per formula unit


[2]
Here is a relaxed KSrPrBiO6 crystal from Materials Project. Energies are from PBE.

Unit cell a=8.767 b=8.797 c=8.859 alpha=90.00 beta=90.00 gamma=90.00
Fractional coordinates of all 40 atoms:
1 K 0.250 0.250 0.250
2 K 0.250 0.750 0.250
3 K 0.750 0.250 0.750
4 K 0.750 0.750 0.750
5 Sr 0.250 0.250 0.750
6 Sr 0.250 0.750 0.750
7 Sr 0.750 0.250 0.250
8 Sr 0.750 0.750 0.250
9 Pr 0.000 0.000 0.000
10 Pr 0.000 0.500 0.500
11 Pr 0.500 0.000 0.500
12 Pr 0.500 0.500 0.000
13 Bi 0.000 0.000 0.500
14 Bi 0.000 0.500 0.000
15 Bi 0.500 0.000 0.000
16 Bi 0.500 0.500 0.500
17 O 0.018 0.037 0.263
18 O 0.018 0.463 0.237
19 O 0.033 0.737 0.026
20 O 0.033 0.763 0.474
21 O 0.237 0.030 0.551
22 O 0.237 0.470 0.949
23 O 0.263 0.030 0.949
24 O 0.263 0.470 0.551
25 O 0.467 0.737 0.474
26 O 0.467 0.763 0.026
27 O 0.482 0.037 0.237
28 O 0.482 0.463 0.263
29 O 0.518 0.537 0.737
30 O 0.518 0.963 0.763
31 O 0.533 0.237 0.974
32 O 0.533 0.263 0.526
33 O 0.737 0.530 0.449
34 O 0.737 0.970 0.051
35 O 0.763 0.530 0.051
36 O 0.763 0.970 0.449
37 O 0.967 0.237 0.526
38 O 0.967 0.263 0.974
39 O 0.982 0.537 0.763
40 O 0.982 0.963 0.737

Summary:
* symmetry: Pnnn (48)
* relative energy among the computed polymorphs: 0.0 meV per atom
* ΔH_f (0 K): -23.0 eV per formula unit


[3]
Here is a relaxed K3Bi7S4O24 crystal from Materials Project. Energies are from PBE.

Unit cell a=15.802 b=15.802 c=20.474 alpha=129.76 beta=129.76 gamma=42.69
Fractional coordinates of all 152 atoms:
1 K 0.040 0.774 0.841
2 K 0.123 0.377 0.754
3 K 0.198 0.440 0.995
4 K 0.226 0.960 0.659
5 K 0.377 0.123 0.254
6 K 0.440 0.198 0.495
7 K 0.560 0.802 0.505
8 K 0.623 0.877 0.746
9 K 0.774 0.040 0.341
10 K 0.802 0.560 0.005
11 K 0.877 0.623 0.246
12 K 0.960 0.226 0.159
13 Bi 0.008 0.765 0.176
14 Bi 0.037 0.297 0.487
15 Bi 0.091 0.835 0.094
16 Bi 0.131 0.869 0.750
17 Bi 0.165 0.909 0.406
18 Bi 0.235 0.992 0.324
19 Bi 0.260 0.513 0.675
20 Bi 0.296 0.539 0.330
21 Bi 0.297 0.037 0.987
22 Bi 0.343 0.585 0.594
23 Bi 0.376 0.624 0.250
24 Bi 0.415 0.657 0.906
25 Bi 0.461 0.704 0.170
26 Bi 0.487 0.740 0.825
27 Bi 0.513 0.260 0.175
28 Bi 0.539 0.296 0.830
29 Bi 0.585 0.343 0.094
30 Bi 0.624 0.376 0.750
31 Bi 0.657 0.415 0.406
32 Bi 0.703 0.963 0.013
33 Bi 0.704 0.461 0.670
34 Bi 0.740 0.487 0.325
35 Bi 0.765 0.008 0.676
36 Bi 0.835 0.091 0.594
37 Bi 0.869 0.131 0.250
38 Bi 0.909 0.165 0.906
39 Bi 0.963 0.703 0.513
40 Bi 0.992 0.235 0.824
41 S 0.043 0.777 0.433
>>>

Dr Heather Graven explains her research on measuring carbon emissions

Dr Heather Graven explains her research on measuring carbon emissions

Grantham research fellow Dr Heather Graven showcased her recent work on estimating global greenhouse gas emissions, explaining how the ratios of carbon isotopes can be used to distinguish between naturally-occurring CO2 and CO2 produced by burning of fossil fuels. Such techniques could lead to more accurate monitoring of countries’ emissions in future.

Scientists predict that a warming planet will increase the frequency of extreme weather events, promote the spread of infectious diseases, such as malaria, and affect food production. Grantham Lecturer Dr Kris Murray reported on other health benefits of limiting climate change, such as reducing harmful air pollution, encouraging active forms of transport or reducing red meat consumption.

As well as listening to some expert voices, diplomats had the opportunity to learn more about other countries’ priorities for climate action and to engage with Imperial academics during lively group discussions. These conversations covered a broad range of topics, from promoting sustainable agriculture to the importance of securing financing for low carbon technologies.

“The message from Paris is that extraordinary advances can be made if there is international will to achieve them,” said Professor Joanna Haigh, Co-Director of the Grantham Institute.

Imperial staff and students will be attending the conference in Marrakech, which runs from 7 to 18 November. Read more about Imperial activities at COP 22